# Source
┌──
#one
! Li7MnO3F3, relaxed, DFT GGA+U; values from VASP
&SYSTEM
  ibrav = 0, nat = 56, ntyp = 4
/
ATOMIC_SPECIES
Li 6.94 Li.upf
Mn 54.94 Mn.upf
O 16.00 O.upf
F 19.00 F.upf
CELL_PARAMETERS angstrom
-0.068 4.036 4.865
-5.848 -6.657 4.708
8.212 -1.057 4.388
ATOMIC_POSITIONS crystal
Li 0.357 0.987 0.114
Li 0.857 0.487 0.114
Li 0.607 0.237 0.614
Li 0.107 0.737 0.614
Li 0.653 0.006 0.234
Li 0.153 0.506 0.234
Li 0.903 0.256 0.734
Li 0.403 0.756 0.734
Li 0.030 0.018 0.340
Li 0.531 0.518 0.340
Li 0.281 0.268 0.840
Li 0.781 0.768 0.840
Li 0.702 0.712 0.175
Li 0.202 0.212 0.175
Li 0.952 0.962 0.675
Li 0.452 0.462 0.675
Li 0.127 0.738 0.250
Li 0.627 0.238 0.250
Li 0.377 0.988 0.751
Li 0.877 0.488 0.751
Li 0.333 0.996 0.451
Li 0.833 0.496 0.451
Li 0.582 0.245 0.950
Li 0.082 0.745 0.950
Li 0.369 0.752 0.389
Li 0.869 0.252 0.389
Li 0.619 0.002 0.889
Li 0.119 0.502 0.889
Mn 0.278 0.277 0.490
Mn 0.528 0.527 0.990
Mn 0.778 0.777 0.490
Mn 0.028 0.027 0.990
O 0.354 0.112 0.303
O 0.854 0.612 0.303
O 0.604 0.362 0.802
O 0.104 0.862 0.802
O 0.396 0.625 0.211
O 0.896 0.125 0.211
O 0.646 0.874 0.711
O 0.146 0.375 0.711
O 0.100 0.859 0.462
O 0.600 0.359 0.462
O 0.350 0.109 0.962
O 0.850 0.609 0.962
F 0.643 0.905 0.037
F 0.143 0.405 0.038
F 0.894 0.155 0.537
F 0.394 0.655 0.537
F 0.115 0.862 0.131
F 0.615 0.362 0.131
F 0.367 0.112 0.631
F 0.867 0.612 0.631
F 0.605 0.877 0.358
F 0.105 0.377 0.358
F 0.855 0.127 0.858
F 0.355 0.627 0.858
! spin magnetization	0.00	μB per formula unit
! mass density	2.49	g/cm3
! V	557.24	Å³/cell
! maximum piezoelectric response	0.44	C/m²

#two
! Li7MnO3F3, relaxed, DFT GGA+U; values from VASP
&SYSTEM
  ibrav = 0, nat = 28, ntyp = 4
/
ATOMIC_SPECIES
Li 6.94 Li.upf
Mn 54.94 Mn.upf
O 16.00 O.upf
F 19.00 F.upf
CELL_PARAMETERS angstrom
4.245 2.612 2.373
0.358 -0.966 -5.987
-4.978 8.368 0.875
ATOMIC_POSITIONS crystal
Li 0.529 0.367 0.747
Li 0.533 0.349 0.058
Li 0.563 0.091 0.207
Li 0.914 0.941 0.316
Li 0.947 0.603 0.444
Li 0.003 0.632 0.754
Li 0.004 0.632 0.100
Li 0.988 0.357 0.885
Li 0.052 0.367 0.239
Li 0.029 0.355 0.552
Li 0.018 0.034 0.674
Li 0.454 0.999 0.820
Li 0.451 0.653 0.951
Li 0.497 0.644 0.603
Mn 0.018 0.017 0.991
Mn 0.522 0.027 0.510
O 0.300 0.268 0.885
O 0.806 0.221 0.378
O 0.792 0.245 0.702
O 0.818 0.248 0.059
O 0.173 0.748 0.940
O 0.220 0.752 0.605
F 0.283 0.206 0.199
F 0.318 0.282 0.574
F 0.143 0.738 0.289
F 0.760 0.793 0.483
F 0.698 0.736 0.782
F 0.698 0.724 0.121
! spin magnetization	0.00	μB per formula unit
! mass density	2.46	g/cm3
! V	281.77	Å³/cell
! symmetry	P1, No. 1

Most stable to least stable, the ends of the list are #one and #two.

~~~~~

i:
The following is a DFT calculation (GGA+U) of a geometry-optimized LiV3O4 structure.

The structure in POSCAR format:
```
LiV3O4
1.0
3.038 -4.324 0.000
3.038 4.324 0.000
0.000 0.000 6.085
Li V O
2 6 8
Direct
0.250 0.750 0.750
0.750 0.250 0.250
0.250 0.250 0.001
0.250 0.250 0.501
0.250 0.750 0.250
0.750 0.250 0.750
0.750 0.750 0.499
0.750 0.750 0.999
0.000 0.500 0.000
0.000 0.500 0.500
0.013 0.987 0.250
0.487 0.513 0.250
0.500 0.000 0.000
0.500 0.000 0.500
0.513 0.487 0.750
0.987 0.013 0.750
```

***

ii:
The following is a DFT calculation (GGA+U) of a geometry-optimized LiV3O4 structure.

The structure in POSCAR format:
```
LiV3O4
1.0
5.272 -2.984 0.000
5.272 2.984 0.000
-1.763 0.000 5.053
Li V O
2 6 8
Direct
0.000 0.500 0.000
0.500 0.000 0.000
0.000 0.000 0.000
0.237 0.763 0.500
0.253 0.253 0.501
0.500 0.500 0.000
0.747 0.747 0.499
0.763 0.237 0.500
0.120 0.625 0.741
0.126 0.126 0.747
0.375 0.880 0.259
0.385 0.385 0.269
0.615 0.615 0.731
0.625 0.120 0.741
0.874 0.874 0.253
0.880 0.375 0.259
```

The total moment is 0.000 μB per formula unit.

***

The most stable of them is ii.

***

i:
The following is a DFT calculation (GGA+U) of a geometry-optimized LiFe8O12 structure.

The structure in POSCAR format:
```
LiFe8O12
1.0
5.977 0.000 0.000
0.006 5.993 0.000
2.937 2.949 12.736
Li Fe O
2 16 24
Direct
0.000 0.000 0.000
0.497 0.502 0.499
0.005 0.500 0.500
└──

# To do
Your job: filter the material above: keep the lines with the word "is".

# Response
The following is a DFT calculation (GGA+U) of a geometry-optimized LiV3O4 structure.
The following is a DFT calculation (GGA+U) of a geometry-optimized LiV3O4 structure.
The total moment is 0.000 μB per formula unit.
The most stable of them is ii.
The following is a DFT calculation (GGA+U) of a geometry-optimized LiFe8O12 structure.